Something really needs to be done about campers

I might be the only one here but, it really bugs me when a killer is already powerful but they feel the need to camp a hooked survivor. (Just to clarify I’m not talking about patrolling or sitting back and waiting, I am talking about a killer who is able to insta down whenever they want, to be 1 foot in front of the hooked survivor until they die).

experiencing this, and other things I know the devs can’t do anything about (aka killers working with a single survivor to screw all the other survivors), unfortunately makes me want to avoid the game for a bit. I enjoy playing it with friends but this unsportsmanlike behavior really does sour the game.

if I may make a possible solution/suggestion to the devs (since I don’t want this just to be a complaining discussion), possibly adding something that would deter killers from staying right next to a hooked survivor. Say if a killer is within a certain radius for a certain period of time, the entity will be displeased and blind the killer that slowly fades once away from the hooked survivor or once the hooked survivor has been taken off the hook.

in any event thank you for making the game.


  • Kalinikta
    Kalinikta Member Posts: 709

    If the other three survivors do the gens, escape and sacrifice the one survivor the entity will be displeased with the killer. Face camping isn't really all that good to begin with, quite boring and unenjoyable.

    I understand that this can be frustrating, but it isn't something that is easily solved without punishing those that are not face camping. Create a mechanic that prevents a killer being near a hook and survivors are going to abuse it.

  • logbomb
    logbomb Member Posts: 19
    edited October 2020

    A survivor going from stage 1 to sacrificed takes a full 120 seconds.

    If a killer catches a survivor at 5 gens and facecamps him, the remaining 3 can do a maximum of 3 gens in this time and maybe start a 4th - assuming there are absolutely no slow down perks like Thanatophobia. Of course this doesn't count any survivor approaching the hook and assumes they just sit on their gens. If there is a Solo player and no Kindred in play most likely at least one survivor will try to go for the unhook unknowingly, wasting precious gen time. Also, if you are playing Solo q and someone is being camped it's a 50/50 of whether that survivor will let himself die on stage 2. Again, 60 seconds gone on the timer.

    This leaves - at best - 3 survivors to do the remaining 2 gens. Even if they manage that - let's assume the killer can't find any of them for a chase and they can just sit pretty at their gens - the killer only needs to equip noed to get an easy 3-4k. If you say "just do bones" you need to add AT LEAST 70 seconds to the gen timing (one additional full generator, pretty much). That's not counting searching and finding said totems or slowdown perks like Thrill of the Hunt.

    Whether we like it or not right now the game mechanics favor facecamping if you find a survivor early enough and I have been seeing it more and more in the ranks were I fluctuate (5-3). There really needs to be a mechanic similar to the Pyramid Head cage mechanic on hooks. If the killer is within X meters without another survivor being there either the hook gets moved or the timer gets extended or the hook breaks, I have no idea. But as it stands it pays off to bring noed and facecamp assuming you can find and down a survivor in the early stages of the match. If you bring Corrupt Intervention this is pretty much guaranteed.

  • logbomb
    logbomb Member Posts: 19

    You already have that on Pyramid Head. I think the way to do this is to only have said mechanic work if no other unhooked survivors are within X meters of that hook. Otherwise no doubt it will be abused. But as it stands what I have been seeing is an abuse of facecamp due to the short amount of time it takes a survivor to die when compared to a full gen being repaired

  • Kalinikta
    Kalinikta Member Posts: 709

    I don't know what you are on about, the short amount of time to kill a survivor on hook. In those two mins you can do 3 gens, do some bones and leave the last 2 gens to the last 2 survivors that aren't running the killer. If the runner gets caught, you gain another 2 mins to finish the gens and open the gate.

    In essence the killer should even with NOED get max a 2k if the survivors play well and the game does not award this behavior as it stands as it deducts bloodpoints for standing there, the entity isn't pleased with even a 4x 1 hook situation and you gain nearly no other points in the other categories that you simply don't engage in.

    Killers that facecamp at 5 gens are not awarded, but it doesn't take away their agency of engaging in that behavior. It is why it is mainly an issue at low ranks. Making rules won't stop people for finding ways to play in annoying frustrating ways.

  • ChantyBoi
    ChantyBoi Member Posts: 179

    There's a very rare thing you can do if the killer facecamps. Work on gens. Facecamping is effectively throwing the game for one kill.

  • logbomb
    logbomb Member Posts: 19
    edited October 2020

    You can do 3 gens IF no one goes to try the rescue. Not everyone is running kindred or in a SWF to know the killer is facecamping.

    Otherwise you'll do 2 gens and be left with 3 for 3 survivors. Yeah he will get max 2k if the survivors play too well but if you play Solo Q (assuming you don't judging by your answer) you know the odds of everyone playing a good game are close to 0. There will always be 1-2 weak links in the team who will make facecamping the first hook pay off.

    Yeah you are right the entity is not pleased with 4x1 but it's enough to "win" the game which is what most players are after anyway.

    In the end here is my main problem - why does the freaking Pyramid Head have an anti-facecamp proc on a mechanic for which he needs to travel the whole map in order to facecamp and all other killers who can literally just sit there don't? It's weird af.

Calculated molecules, as found in the file.
- - -
# C32H89N5O13

10 unconnected molecules or ions with the total composition C32H89N5O13 at a distorted geometry (wB97M-V/def2-TZVPD, the Open Molecules 2025 dataset).

As for the SMILES: COC[C@H](C)N.COC[C@H](C)N.COC[C@H](C)N.COC[C@H](C)N.COC[C@H](C)N.CC(C)O.CC(C)O.OCCO.OCCO.OCCO. Its orbital gap is 8.86 eV. Its LUMO energy is 0.1 eV. As for the net charge: 0.

```
139
C32H89N5O13 (wB97M-V/def2-TZVPD)
C 5.26160 0.60081 -4.00747
O 3.97979 1.01933 -4.30557
C 3.17917 1.19452 -3.17718
C 1.79915 1.61604 -3.59994
C 1.82711 2.96302 -4.31819
N 0.91890 1.67100 -2.40858
H 5.75213 0.29540 -4.93282
H 5.25086 -0.25629 -3.30692
H 5.94607 1.34580 -3.55941
H 3.21286 0.27472 -2.56491
H 3.56870 1.97993 -2.50183
H 1.39004 0.91912 -4.34109
H 2.50723 2.95282 -5.17029
H 2.26408 3.74894 -3.67038
H 0.82868 3.32807 -4.55531
H 1.46636 1.32463 -1.60710
H 0.79726 2.65203 -2.14341
C 1.67464 -3.00231 -6.17422
O 1.40328 -1.85883 -5.42613
C 0.59757 -2.07494 -4.26216
C -0.86485 -1.74047 -4.53394
C -1.03119 -0.26999 -4.94971
N -1.72798 -2.09007 -3.39109
H 2.04103 -3.80299 -5.51560
H 2.42517 -2.79792 -6.93492
H 0.79153 -3.36739 -6.72318
H 0.68903 -3.10922 -3.89315
H 0.97812 -1.39711 -3.47725
H -1.18448 -2.33429 -5.40227
H -0.64472 0.39802 -4.17345
H -2.05822 -0.02788 -5.21050
H -0.40779 -0.07258 -5.83392
H -2.68019 -1.87676 -3.67546
H -1.53579 -1.43714 -2.62289
C -0.67932 -5.86988 1.48068
O -1.55309 -5.74837 0.38618
C -2.22503 -4.50051 0.38894
C -3.29122 -4.47860 -0.67109
C -4.36211 -5.52350 -0.45247
N -2.75005 -4.61986 -2.03836
H -1.12008 -5.48029 2.39851
H 0.22033 -5.28064 1.24075
H -0.42272 -6.91809 1.56753
H -2.67768 -4.21982 1.36079
H -1.46649 -3.70289 0.20980
H -3.76257 -3.48712 -0.68721
H -4.80372 -5.45537 0.54444
H -3.95684 -6.52582 -0.58493
H -5.14222 -5.34320 -1.18988
H -2.10133 -5.41258 -2.02167
H -2.15854 -3.80775 -2.26253
C 2.82720 1.09983 3.74622
O 2.62883 1.13253 5.15090
C 3.68063 1.78436 5.82603
C 3.34479 1.99408 7.29516
C 2.15545 2.91422 7.53503
N 4.49970 2.47370 8.08724
H 2.07574 0.40228 3.36308
H 3.80877 0.73763 3.44190
H 2.61718 2.07168 3.28915
H 4.62372 1.21449 5.75374
H 3.91784 2.74830 5.33045
H 3.09067 0.99742 7.68594
H 1.23590 2.41437 7.20048
H 2.21824 3.85152 6.97624
H 2.00725 3.09946 8.59354
H 4.88422 3.34560 7.71741
H 5.29910 1.83812 8.06959
C -5.91282 4.31956 -4.08618
O -6.19134 3.21747 -3.27968
C -5.13263 2.31852 -3.28839
C -5.53155 1.15324 -2.42030
C -4.41500 0.11355 -2.39826
N -6.78277 0.53562 -2.96898
H -6.71903 5.04773 -4.06948
H -5.68600 4.02204 -5.11972
H -5.02208 4.86391 -3.71500
H -4.93987 2.00597 -4.32396
H -4.21496 2.76695 -2.87286
H -5.66536 1.54275 -1.39288
H -4.03552 -0.09547 -3.39637
H -4.58625 -0.82810 -1.86576
H -3.61055 0.52870 -1.76966
H -7.54977 1.20094 -2.92988
H -7.01037 -0.27037 -2.39512
C -3.21753 2.07493 1.05932
C -4.49742 2.53606 1.66251
C -4.92559 1.70639 2.87595
O -4.37950 3.90971 2.01129
H -2.82950 2.74287 0.28743
H -3.26796 1.07848 0.61751
H -2.43671 2.02843 1.83300
H -5.29301 2.44358 0.90174
H -5.08212 0.64513 2.69864
- - -
So much for the calculated molecules.

  • Pawcelot
    Pawcelot Member Posts: 985

    Camping is mostly a mentality and survivors reinforce it reguarly by suicide bombing the hooks in order to save their fellow survivor. Even if you put on all manners of negative effects, be it deranking, no points, 24 hours ban etc for camping.. campers would still camp.

    How about you reward positive behavior, aka the killer leaving the hook, instead of punishing them?

  • MasterofSFL
    MasterofSFL Member Posts: 125
    edited October 2020

    As I had stated here, camping isn't hard to solve for:

    Entity's Displeasure: Hooked Survivors while within your terror radius and 10m of you have reduced death progression shortly after being hooked, while you're not in chase. Entity's Displeasure Is deactivated upon entering a chase, Entity's Displeasure will reactivate after spending a total of 10 seconds near a hooked survivor after exiting a chase. Entity's Displeasure is not in effect when two or more survivors are on hook or during End-Game Collapse.

    The most common retort you'll receive is that (Blatant) camping is a legitimate strategy and all you need to do is spend 2-3 weeks and $20 to get the get-out-of-jail perks or "just do gens." It doesn't matter what the hooked survivor's experience is like during the entire event, no one seems to really care or get that fact. At bare minimum, hooked survivors being (blatantly) camped ought to receive Altruism (time on hook) and Objective points (gens completed), just so the experience isn't so hellishly boring/frustrating to the point of DCing.

  • Kalinikta
    Kalinikta Member Posts: 709

    The developers have stated themselves that camping is a valid strategy.

    The behavior of the survivors is not upon the killer to be responsible for, that is their own.

    They didn't win the game, they are de-pip and lose rank, earn less bloodpoints and everything in the game is telling them they did not do well. If people decide for themselves to play for other goals than the ones provided by the game they can also "win" with one kill.

    Most people are out to have fun and earn bloodpoints so they can purchase what they want and/or want to become rank 1. Sure they want a 4k, but there also many that aren't to bothered if they don't get it either. It is easy to say, people just want a 4k even if it costs them everything else. It is the same as the survivors that rush gens and escape with minimal points. It isn't awarded because it isn't the goal of the game and not much fun for the other side.

    PH can avoid many perks that are used for saves, anti tunnel, etc. Also does not require them to pick them up, get them to a hook and put it on them, all aspects of the game where counter play is possible. You know some of the tools good survivors can use to counter the actions of a killer. As a down side PH cannot be near it for to long to prevent the hardcore tunneling without counterplay and is unable to pick where it goes.

  • lazerlight
    lazerlight Member Posts: 353
    edited October 2020

    It doesn't matter what people say, it doesn't matter if it's a "valid strategy". Campers/Tunnelers/Sluggers are preventing people from PLAYING THE GAME and making points. This is GRIEFING. It's fine if you camp or slug in the end to get some pressure. But to just target a player just to get them out of the game asap or prevent them from playing is scummy and GRIEFING. "The other 3 survivors just have to do gens" but what about the survivor on the HOOK. They didn't boot up A GAME to sit there and do nothing for two whole minutes and then get kicked out with no points rewarded.

    Hooks should have a similar effect like Pyramid Head's cages. Once you're hooked, the hook switches places with the farthest empty hook. (A cool animation they could do is use the same animation of the entity when it's grabbing the souls of sacrificed survivors, but upside down. It sinks the hook into the floor and then brings the new hook in the same spot.)

    Hooked Survivors should get a lot of objective or altruistic points if they enter the second stage on their first hook (if they didn't attempt to escape). Maybe 3k? The scoring event can be called "live-captive" or something. This way, even if they have been prevented from playing, they can atleast buy a brown item in the bloodweb lol.

    And struggling should give up to 2k points in survival. I still cannot believe struggling for the whole 60 seconds only rewards survivors with 891 points.... Really? Not even 900?? That's just flat out disrespectful lol, especially since making points in the survival category is as hard enough already.

    Everyone entered the game to have FUN and PLAY. How is camping early game different than a killer body blocking you in a corner the whole game? That at least on the hook you die, but you were still prevented from playing for 2 minutes...

    Funny how the survivors' fun isn't the Killers' responsibility but the moment a survivor dc's, they ruined the game for the killer. So wait, survivors' fun isnt your responsibility but YOUR fun is theirs?? I don't think so.